Indonesia Single Origin - Sigarar Utang - Washed Process
After roasting beans from Africa and South and Central America in recent months Muttley & Jack are delighted to present their first coffee from Asia. Indonesia sits on the Pacific 'Ring of Fire' and is home to an increasing number of high quality speciality coffees.
Origin: Java Frinsa Estate, Weninggalih, Java, Indonesia
1400 meters above sea level on the island of Java in the Bandung Highlands you'll find the Java Frinsa Estate - a family run operation since 2011. Massive floods and landslides are a common problem during Indonesia's rainy season, where deforestation has left hilly areas vulnerable to erosion during destructive tropical rainfall. The government sees that coffee farming can be a smart option for reforestation. Through many NGOs, the authorities tried to encourage land use change from vegetables farming to coffee projects.
[Materials data that have nothing to do with the article]
Arrangement one

Here is a relaxed structure of MgSi2 from the Materials Project. Energies are from PBE.

Unit cell a=5.165 b=5.665 c=7.689 alpha=84.14 beta=85.36 gamma=64.82
Space group P1 (No. 1)
One atom of each set of equivalent atoms:
Mg 0.000 0.000 0.000 x1
Mg 0.071 0.462 0.851 x1
Mg 0.246 0.254 0.505 x1
Mg 0.903 0.561 0.217 x1
Si 0.231 0.769 0.616 x1
Si 0.322 0.745 0.297 x1
Si 0.443 0.122 0.159 x1
Si 0.513 0.518 0.002 x1
Si 0.545 0.937 0.849 x1
Si 0.664 0.307 0.702 x1
Si 0.734 0.722 0.561 x1
Si 0.817 0.087 0.399 x1

Magnetization = 0.00 μB/cell


Arrangement two

Here is a relaxed structure of MgSi2 from the Materials Project. Energies are from PBE.

Unit cell a=3.748 b=5.571 c=11.519 alpha=91.67 beta=98.93 gamma=108.93
Space group P1 (No. 1)
One atom of each set of equivalent atoms:
Mg 0.000 0.000 0.000 x1
Mg 0.009 0.757 0.259 x1
Mg 0.532 0.252 0.811 x1
Mg 0.591 0.679 0.499 x1
Si 0.168 0.608 0.720 x1
Si 0.271 0.603 0.941 x1
Si 0.287 0.101 0.469 x1
Si 0.327 0.354 0.302 x1
Si 0.680 0.158 0.195 x1
Si 0.748 0.456 0.043 x1
Si 0.813 0.890 0.735 x1
Si 0.901 0.212 0.594 x1

Magnetization = 0.00 μB/cell


Least stable structure: arrangement one


Arrangement one

Here is a relaxed structure of Sm2MgSe4 from the Materials Project. Energies are from PBE.

Unit cell a=13.474 b=8.059 c=13.595 alpha=90.00 beta=90.00 gamma=90.00
Space group Pca2_1 (No. 29)
One atom of each set of equivalent atoms:
Sm 0.108 0.117 0.000 x4
Sm 0.127 0.618 0.641 x4
Sm 0.134 0.371 0.306 x4
Sm 0.134 0.871 0.307 x4
Mg 0.111 0.617 0.007 x4
Mg 0.126 0.121 0.635 x4
Se 0.011 0.120 0.194 x4
Se 0.023 0.629 0.182 x4
Se 0.032 0.620 0.444 x4
Se 0.045 0.128 0.453 x4
Se 0.210 0.121 0.814 x4
Se 0.211 0.620 0.837 x4
Se 0.230 0.368 0.093 x4
Se 0.232 0.871 0.091 x4

Magnetization = 0.00 μB/cell


Arrangement two

Here is a relaxed structure of Sm2MgSe4 from the Materials Project. Energies are from PBE.

Unit cell a=7.627 b=8.849 c=13.921 alpha=80.60 beta=84.43 gamma=89.95
Space group P-1 (No. 2)
One atom of each set of equivalent atoms:
Sm 0.132 0.444 0.199 x2
Sm 0.133 0.957 0.195 x2
Sm 0.259 0.128 0.499 x2
Sm 0.365 0.300 0.803 x2
Mg 0.251 0.622 0.504 x2
Mg 0.366 0.800 0.797 x2
Se 0.093 0.410 0.400 x2
Se 0.109 0.892 0.397 x2
Se 0.196 0.546 0.874 x2
Se 0.199 0.017 0.873 x2
Se 0.309 0.719 0.121 x2
Se 0.335 0.220 0.125 x2
Se 0.389 0.841 0.609 x2
Se 0.410 0.359 0.601 x2

Magnetization = 0.00 μB/cell


Least stable structure: arrangement two


Arrangement one

Here is a relaxed structure of Zn from the Materials Project. Energies are from PBE.

Unit cell a=2.6540 b=2.6540 c=22.2481 alpha=90.00 beta=90.00 gamma=120.00
Space group R-3m (No. 166, hexagonal axes)
One atom of each set of equivalent atoms:
Zn 0.0000 0.0000 0.0000 x3
Zn 0.0000 0.0000 0.2220 x6


Arrangement two

Here is a relaxed structure of Zn from the Materials Project. Energies are from PBE.

Unit cell a=3.138 b=3.138 c=3.138 alpha=90.00 beta=90.00 gamma=90.00
Space group Im-3m (No. 229)
One atom of each set of equivalent atoms:
The farmer: Wildan Mustofa
Wildan Mustofa saw natural disasters happen year after year in his neighbourhood. The farmer always suffers the most. Previously a potato breeder and farmer himself, Wildan found his calling to help the other farmers.
What comes next are calculated crystals, not part of the piece =
1.
# Cs3Ta2S11

A relaxed structure of Cs3Ta2S11 (PBE, the Materials Project).

Results
calculated formation energy	-19.667	eV per formula unit
corrected total energy (MP2020 scheme)	-0.210	Ha/atom
VASP energy	-344.15	eV/cell

a b c (Å): 12.3268 8.3441 20.0822
angles (deg): 90.00 102.26 90.00
With the nearest neighbours (Å) after each atom.
Atoms (fractional coordinates):
Cs 0.0034 0.1817 0.3373  10 S 3.57-3.94
Cs 0.0034 0.3183 0.8373  10 S 3.57-3.94
Cs 0.2290 0.1873 0.1183  8 S 3.53-3.86
Cs 0.2290 0.3127 0.6183  8 S 3.53-3.86
Cs 0.4637 0.1594 0.3581  9 S 3.54-3.93
Cs 0.4637 0.3406 0.8581  9 S 3.54-3.93
Cs 0.5363 0.6594 0.1419  9 S 3.54-3.93
Cs 0.5363 0.8406 0.6419  9 S 3.54-3.93
Cs 0.7710 0.6873 0.3817  8 S 3.53-3.86
Cs 0.7710 0.8127 0.8817  8 S 3.53-3.86
Cs 0.9966 0.6817 0.1627  10 S 3.57-3.94
Cs 0.9966 0.8183 0.6627  10 S 3.57-3.94
Ta 0.1932 0.7218 0.9934  5 S 2.24-2.50
Ta 0.1932 0.7782 0.4934  5 S 2.24-2.50
Ta 0.2898 0.6434 0.3433  5 S 2.24-2.47
Ta 0.2898 0.8566 0.8433  5 S 2.24-2.47
Ta 0.7102 0.1434 0.1567  5 S 2.24-2.47
Ta 0.7102 0.3566 0.6567  5 S 2.24-2.47
Ta 0.8068 0.2218 0.5066  5 S 2.24-2.50
Ta 0.8068 0.2782 0.0066  5 S 2.24-2.50
S 0.0000 0.1222 0.5127  1 S 2.10
S 0.0000 0.3778 0.0127  1 S 2.10
S 0.0000 0.6222 0.9873  1 S 2.10
S 0.0000 0.8778 0.4873  1 S 2.10
S 0.0845 0.5295 0.4559  1 S 2.09
S 0.0845 0.9705 0.9559  1 S 2.09
S 0.1117 0.7261 0.8456  1 S 2.10
S 0.1117 0.7739 0.3456  1 S 2.10
S 0.2088 0.6135 0.7851  1 S 2.10
S 0.2088 0.8865 0.2851  1 S 2.10
S 0.2363 0.0635 0.7729  1 Ta 2.24
S 0.2363 0.4365 0.2729  1 Ta 2.24
S 0.2471 0.0510 0.4691  1 S 2.10
S 0.2471 0.4490 0.9691  1 S 2.10
S 0.2501 0.7453 0.6061  1 Ta 2.24
S 0.2501 0.7547 0.1061  1 Ta 2.24
S 0.2524 0.5144 0.4519  1 S 2.09
S 0.2524 0.9856 0.9519  1 S 2.09
S 0.3622 0.6287 0.9592  1 S 2.10
S 0.3622 0.8713 0.4592  1 S 2.10
S 0.4721 0.7184 0.3206  1 S 2.09
S 0.4721 0.7816 0.8206  1 S 2.09
S 0.4781 0.5771 0.4072  1 S 2.09
S 0.4781 0.9229 0.9072  1 S 2.09
S 0.5219 0.0771 0.0928  1 S 2.09
S 0.5219 0.4229 0.5928  1 S 2.09
S 0.5279 0.2184 0.1794  1 S 2.09
S 0.5279 0.2816 0.6794  1 S 2.09
S 0.6378 0.1287 0.5408  1 S 2.10
S 0.6378 0.3713 0.0408  1 S 2.10
S 0.7476 0.0144 0.0481  1 S 2.09
S 0.7476 0.4856 0.5481  1 S 2.09
S 0.7499 0.2453 0.8939  1 Ta 2.24
S 0.7499 0.2547 0.3939  1 Ta 2.24
S 0.7529 0.5510 0.0309  1 S 2.10
S 0.7529 0.9490 0.5309  1 S 2.10
S 0.7637 0.5635 0.7271  1 Ta 2.24
S 0.7637 0.9365 0.2271  1 Ta 2.24
S 0.7912 0.1135 0.7149  1 S 2.10
S 0.7912 0.3865 0.2149  1 S 2.10
S 0.8883 0.2261 0.6544  1 S 2.10
S 0.8883 0.2739 0.1544  1 S 2.10
S 0.9155 0.0295 0.0441  1 S 2.09
S 0.9155 0.4705 0.5441  1 S 2.09

---

2.
# Cs2TaS6

A relaxed structure of Cs2TaS6 (PBE, the Materials Project).

Results
calculated formation energy	-7.556	eV per formula unit
corrected total energy (MP2020 scheme)	-0.188	Ha/atom
magnetic moment	0.20	Bohr magnetons per cell
VASP energy	-43.00	eV/cell

a b c (Å): 8.0399 8.0399 4.8274
angles (deg): 90.00 90.00 120.00
The calculated crystals stop here =
He started his first coffee project at Sindangkerta, Weninggalih area in 2010. This later became his main growing area in Java Frinsa Estate. Since the first year of production, Wildan has aimed to focus on quality which requires meticulous attention and processes.
His idea was not instantly accepted by the locals. Producing palm sugar was the main source of living, but this was not enough to feed the whole family. Forcing the men to go to the cities to work as cheap construction workers earning less than USD 8 per day, while the women preferred to be migrant workers in foreign countries. Thus leaving the children “parentless” at home without proper adult supervision.
In early days, Wildan needed to “import” coffee pickers from a nearby area, Pengalengan, as the people in Sindangkerta were sceptical and reluctant to join the project. After a while they began to learn and understand how growing coffee could help them to improve their livelihoods and ensure their household needs. Slowly but surely mothers and fathers are returning back to the village and their children.
There is also a reason why Frinsa is using the white cotton bags instead of importing jute bags from India or Bangladesh. When the cherry-picking season ends, the women pickers can continue sewing the cotton bags and still earn a living.
Frinsa also focus on education. They donated a portion of their land in Mekarwangi village to build a high school for the community. Before when the children finished their elementary school, they had to walk around 10 km (one way) every day just to reach the nearest high school. Now they can continue their education in a much easier way.
This is a complex coffee with a lot of different flavours, some of which develop only weeks after the roast. It has sweetness, earthiness and herbal flavours with sweet tobacco and liquorice aromas that combine to deliver and sweet and savoury cup of coffee.
Cupping Score - 87
This is a fully washed coffee. After picking it is sorted by hand and pulped by machine (the skin and fruit pulp are removed from the coffee cherry) and then dried in the sun. In this image you can see the coffee being turned to make sure the beans dry evenly until 12% moisture remains.
Muttley & Jack's Coffee Roasters
Muttley & Jack’s is a prize winning coffee roastery based in Stockholm. Each month members receive a box of freshly roasted specialty grade coffee with an education pack to help coffee lovers and the coffee curious get more out of their coffee.
The 'Coffee Experience' packages together speciality coffee, travel and education.